I’ve always thought of converting the best nuggest of online discussion into easily digestible blog posts. This is a practice post, and I would like to know what anyone who reads this thinks of this. Is this easy to read? Of value?
And how am I supposed to go around getting people’s permission to do this, if I continue to plagiarize and publicate their words of wisdom? Have I found a form of flattery greater than imitation?
Trodden wanted to sell his studio. He’s pissed.
uhhh spending my whole weekends in the studio, behind the board and computer screen, just to have nothing but shit sandwiches come out of the speakers. My ears suck. after spending 20 hours on 5 songs, you’d think i’d at least be in the 90-percent mark, but no, just sounds goofy and ball-less. maybe i’m boosting too many highs and lows and thats just sucking out the mids which leave it powerless. how fun is it to spend your days off, doing this, just to be exhausted and half mad when the day is over and nothing gained?
We’ve all been there. It is the territory of all genuine creative endeavours.
You have these kinds of days to prepare for the easy days when everything just comes together seemingly without effort.. Paying your dues, they call it.
Inverse adds:
I often find that my best stuff–writing I mean–is the stuff that’s easiest to write, and usually comes very quickly. And the stuff I bang my head against the wall with never amounts to anything. But I wouldn’t get the former without going through the latter.
Trodden gets more specific in his complaints.
something is wierd. i don’t know, I’m almost willing to completely restart a coouple of them instead of poking/mousing around teh automation i’ve already written. writing automation, using the mouse curser on the “fader” in the box is so fucking annoying, as much as going to the edit screen and redrawing line with the stupid finger thing.
• These data records were left in the entry by mistake:
Record 1
The following is a quantum chemistry calculation of C23H23AsNiP as an isolated structure, from the Open Molecules 2025 dataset.

```
49
Properties=species:S:1:pos:R:3:forces:R:3:lowdin_spin:R:1
C 0.983128 1.080257 -3.280807 -0.153 -4.141 -3.438 0.0252
C -0.191036 1.215890 -4.228855 -0.339 0.356 -1.614 0.2451
C -1.046612 0.099512 -4.075721 0.426 -0.346 -0.600 0.0347
C -0.380229 -0.845893 -3.285301 -0.995 -4.003 -1.727 0.0332
C 0.879058 -0.434691 -3.008740 3.748 0.634 1.037 0.0017
Ni -0.665855 0.632013 -2.262355 -0.829 3.679 4.139 0.4590
P 0.299943 2.664868 -2.248995 -0.389 0.149 1.558 0.0703
H 2.008839 1.258854 -3.456863 0.838 1.205 -0.167 0.0084
H -0.555018 2.052417 -4.849061 0.726 -0.104 0.676 0.0191
H -1.932963 -0.165050 -4.546935 -1.479 0.214 -0.968 0.0009
H 1.671439 -1.076377 -2.516579 -1.185 1.247 -0.393 0.0016
H -0.739744 -1.820494 -3.018359 -0.233 -0.402 -0.209 0.0042
H -1.124605 2.239046 -1.788313 0.488 -0.010 -0.025 0.0000
H -0.087720 3.699317 -3.031987 -0.190 1.076 -0.408 0.0189
H 1.117058 3.015574 -1.209915 -0.014 0.738 0.967 0.0212
C -1.020330 2.920207 3.502817 -0.179 -0.181 -0.099 0.0040
C 0.303993 2.773260 3.060609 -0.361 -0.031 -0.319 0.0034
C 0.561014 1.981364 1.932162 -0.255 -0.020 0.247 0.0129
C -0.493357 1.279275 1.319873 -0.874 0.630 1.245 0.0245
C -1.827938 1.441950 1.758173 0.615 0.249 0.289 0.0059
C -2.094865 2.267744 2.853591 0.491 0.164 0.019 0.0017
As -0.100826 0.054953 -0.075248 1.117 -0.172 -0.996 0.0976
C 1.668735 -0.447365 0.465228 -1.684 0.733 -1.932 0.2177
C 2.835503 -0.271836 -0.351886 0.696 -0.203 -0.035 0.1464
C 4.041507 -0.747996 0.124018 0.136 0.490 -0.919 0.0533
C 4.146269 -1.266657 1.425205 0.581 -0.421 0.272 0.2319
C 3.016584 -1.309506 2.271232 -1.375 0.369 -0.305 0.0743
C 1.777866 -0.916433 1.760957 1.340 -0.901 2.262 0.0999
C -1.295207 -1.416347 0.262077 -1.268 -0.126 0.104 0.0194
C -0.811251 -2.568873 0.871398 -0.363 -0.189 0.186 0.0037
C -1.695268 -3.574620 1.262853 -0.704 0.076 -0.357 0.0025
C -3.071900 -3.443696 0.972207 0.743 0.118 0.148 0.0020
C -3.553281 -2.319548 0.288397 0.039 0.147 -0.133 0.0025
C -2.674808 -1.300736 -0.099485 0.821 -0.436 0.687 0.0038
H -1.224844 3.546077 4.372154 0.023 -0.157 -0.162 0.0004
H 1.146165 3.252307 3.589617 -0.632 -0.187 -0.318 0.0005
H 1.592301 1.862957 1.559628 -0.646 -0.100 0.249 0.0043
H -2.635516 0.891845 1.254915 0.399 0.310 0.320 0.0002
H -3.130153 2.387147 3.210866 0.617 0.014 -0.127 0.0003
H 2.775164 0.222928 -1.321720 0.049 -0.208 0.280 0.0101
H 4.941859 -0.710768 -0.537038 -0.749 0.099 0.657 -0.0009
H 5.090429 -1.628469 1.792798 0.284 -0.061 0.029 0.0212
H 3.091130 -1.644655 3.305683 0.031 0.008 -0.210 0.0027
H 0.884932 -0.975958 2.388072 0.309 0.074 0.019 0.0067
H 0.256978 -2.654757 1.071962 -0.299 0.000 -0.009 0.0035
H -1.313700 -4.447724 1.802285 -0.235 0.249 -0.254 0.0002
H -3.755733 -4.222979 1.291449 -0.008 0.058 -0.045 0.0002
H -4.628306 -2.216596 0.065349 0.601 -0.171 0.098 0.0004
i think my issues are.
1.too much reverb on all tracks
2. kick drum TOO big and boomy
3. bass too big and boomy
4. guitars not loud enough
5. highs boosted and too much mids cut in fiddle, mandolin and accordian.
6. sloppily tracked.
Bring the listening/monitoing volume wayyyy down and listen for a bit. that should help with some track levels. Too much reverb? pan the reverb returns to one side, with the source on the other. bring it up listening quiet in the ‘phones til it’s enough. Then, dip it a *touch* from there.
Penrithmatt patron saint of erstwhile audio engineers chimed in with these nuggest of wisdom.
no eq…..work the balance.
no effects…work the panning to aid the balance.
no compression…..use panning and level to make things heard…..
once you get a good balance,listening at a low to moderate level i’d think about adding effects to things??
do you have to use reverb?? short delays can make space and not eat all yer mid range…….i like them better…..slap for the vocals and guitars……100msec to 120msec…..a tiny touch of feedback……shorter and no feedback if yer a purist!!
_Someone pasted data records at this point_
+++
1.
Formula: C9H24BN3O3
Source: OMol25
Level of theory: ωB97M-V/def2-TZVPD

Structure (ORCA input):
```
! RIJCOSX wB97M-V def2-TZVPD def2/J DEFGRID3
* xyz 0 1
C -2.447 -0.090 2.494
C -1.750 -1.258 1.749
C -0.403 -1.590 2.348
N 0.544 -2.280 1.447
O -1.546 -1.012 0.361
B -0.690 0.022 -0.018
O -0.433 0.321 -1.367
C -0.966 -0.363 -2.491
C -0.052 -1.546 -2.827
C -1.129 0.660 -3.655
N 0.040 1.540 -3.734
O -0.099 0.759 1.046
C 0.972 1.607 0.766
C 1.439 2.398 1.988
C 2.186 0.925 0.137
N 2.646 -0.245 0.858
H -1.814 0.808 2.478
H -3.382 0.183 2.020
H -2.678 -0.339 3.547
H -2.407 -2.147 1.825
H -0.469 -2.078 3.306
H 0.041 -0.619 2.584
H 0.524 -3.252 1.566
H 0.226 -2.014 0.537
H -1.945 -0.709 -2.143
H -0.292 -2.469 -2.284
H -0.179 -1.807 -3.854
H 1.002 -1.266 -2.699
H -2.026 1.265 -3.539
H -1.224 0.150 -4.630
H 0.144 1.968 -2.812
H 0.894 1.025 -3.926
H 0.600 2.344 0.058
H 2.155 3.168 1.700
H 1.977 1.748 2.686
H 0.618 2.822 2.595
H 3.036 1.618 -0.025
H 1.850 0.655 -0.880
H 1.920 -0.930 1.074
H 3.119 0.027 1.717
*
```

- energy relative to the best compared isomer or geometry (same formula, charge and spin) (kcal per mole) = 0.0
- HOMO-LUMO gap (hartree) = 0.34285
- SMILES string = C[C@H](CN)OB(O[C@H](C)CN)O[C@@H](C)CN
- LUMO level (eV) = 0.7
- HOMO level (eV) = -8.637

Mulliken atomic charge list, values in e, 4 entries: -1.267, 0.516, -0.617, -0.485

2.
Formula: C20H36AsN2OPtSe2Si2
Source: OMol25
Level of theory: ωB97M-V/def2-TZVPD

Structure (ORCA input):
```
! RIJCOSX wB97M-V def2-TZVPD def2/J DEFGRID3
* xyz 1 3
Pt 9.607 9.561 9.832
Se 12.127 8.166 8.628
Se 10.868 6.728 7.251
C 9.027 6.880 7.699
C 8.284 5.902 7.039
C 6.946 5.807 7.327
C 6.345 6.795 8.183
C 7.132 7.786 8.724
N 8.498 7.819 8.514
C 11.688 9.786 7.779
C 12.646 10.318 6.956
C 12.362 11.523 6.264
C 11.105 12.108 6.456
C 10.196 11.527 7.405
N 10.515 10.416 8.099
H 8.721 5.193 6.370
H 6.413 5.015 6.744
H 5.304 6.782 8.421
H 6.805 8.645 9.297
H 13.604 9.800 6.899
H 13.016 11.935 5.544
H 10.838 12.960 5.916
H 9.252 11.971 7.596
C 8.181 10.112 4.891
C 6.951 10.840 5.363
O 7.219 11.586 6.566
C 6.153 12.344 7.036
C 6.646 12.871 8.434
H 7.797 9.408 4.160
H 8.645 9.618 5.769
H 8.988 10.817 4.544
H 6.253 10.014 5.651
H 6.393 11.499 4.669
H 5.226 11.742 7.155
H 5.903 13.164 6.353
H 7.106 12.078 8.960
H 5.780 13.285 8.961
H 7.401 13.671 8.272
C 10.521 11.690 12.591
Si 9.654 10.409 13.681
C 8.158 10.976 14.663
C 10.958 9.808 14.917
As 9.068 8.700 12.030
Si 9.935 6.549 12.571
C 9.203 6.183 14.250
C 11.797 6.935 12.563
C 9.698 5.293 11.221
H 10.771 12.444 13.397
H 9.795 12.085 11.879
H 11.360 11.284 12.069
H 8.578 11.483 15.505
H 7.558 10.064 14.938
H 7.547 11.633 14.085
H 10.697 10.068 15.904
H 11.994 10.266 14.804
H 11.076 8.761 14.951
H 9.392 6.980 14.874
H 9.620 5.275 14.713
H 8.115 6.204 14.078
H 11.860 7.889 13.087
H 12.134 7.123 11.534
H 12.420 6.213 13.042
H 8.706 4.868 11.059
H 10.455 4.557 11.423
H 9.991 5.849 10.344
*
```

- HOMO-LUMO gap (spin up / spin down) (hartree) = 0.27075 / 0.24466
+++
a quater note delay,timed to the track should work for other stuff……..if you must use reverb choose what get’s to have it carefully…….only send a few things to it and don’t have a lot of reverb return….i dunno.i guess it’s all about personal prefrences but…..i don’t really use reverb too much and if i do it’s more of a special effect,as opposed to slathering it over everything……..i also like to work really quiet,in mono whilst getting a balance and adding effects,add effects until you can hear them,then back them down a touch……….depends on the music,i guess,but…….
can you flip the phase on one side of the reverb return?? it’s an old trick,but one i use all the time…….it basically knocks the centre of the reverb image out…..you only really hear it super wide and on the sides…..this is great,cos more often than not you want the verb to create a false sense of space at the edges of yer image……i dunno,try it,it’s kinda cool…especially in dense tracks where the centre image is for low end stuff…….sounds killer in headphones too…..
if yer gonna eq…….hi pass filter the shit out of everything…be brutal…..i’ve said it a million times but,clear all the low end shit out of stuff that doesn’t need it…..start at 75-100hz and go up until you hear it make a difference,then back it down…….you might find you don’t have to boost as much low end in the stuff that should have it as it’s not fighting for space with other stuff……..sometimes cutting super low stuff out of basses and bass drums makes them “speak” better……..some gentle shelving……it has worked before now……..
buss compression and eq……..a little bit of both might help you out….can’t really say i eq the mix buss that often but i usually have some kinda compressor across there…….totally fell inlove with the Chandler TG limiter last session….totally amazing….i hear great things about the plug ins too…….dunno.Neve 33609 adds thickness…SSL style comps keep it kinda tight……nothing to stop you strapping a couple together……..or just hammer an L2 over it like every one else and be done with it……
and yeah,stop beating yerself up about it…….